Erasmus voor jonge ondernemers heeft meer dan 2600 ondernemers gesteund (en)

Met dank overgenomen van Europese Commissie (EC) i, gepubliceerd op vrijdag 12 oktober 2012.

European Commission

Press release

Brussels, 12 October 2012

Erasmus for Young Entrepreneurs has supported more than 2600 entrepreneurs

On the eve of the upcoming SME Week from 15 to 21 October, the Erasmus for Young Entrepreneurs Programme has reached an important milestone: the Programme has supported more than 2600 entrepreneurs as more than 1300 exchanges between new and established entrepreneurs have been organised to date. At a ceremony in Brussels last night, entrepreneurs and the local contact points (intermediary organisations) were rewarded for their active and successful contributions to the Programme.

The competition's entries demonstrate that the Programme has gained traction - particularly over the last year - and that it is beneficial for new and host entrepreneurs alike, as well as for the EU economy. Five different award categories were used to evaluate the Best Success Story Video, the Most Successful Post Relationship Cooperation, the Best Business Concept from New Entrepreneurs, the Best Performing Host Entrepreneur as well as the Best Performing Intermediary Organisation.

European Commission Vice President Antonio Tajani i, responsible for enterprise and industry policy, underlined: “ The internationalisation of the EU's SMEs needs to be improved, given that relatively few SMEs export their goods and services either within or outside the EU. Both host and new entrepreneurs benefit from the Erasmus for Young Entrepreneurs scheme through enhancing their market access and identifying potential partners in other EU countries .”

See interview with Erasmus participants

For more information about the Erasmus for Entrepreneurs Programme

More information about the Awards

Case studies of exchanges can be found here

Winners of the Erasmus Entrepreneurship Awards 2012

For Best Success Story Video

  • New entrepreneur : Luga Oggianu (IT) - Host entrepreneur (HE) Christophe Chatillon (BE): Digital services in the applications domain
  • New entrepreneur: Ramon Francos Sanchez (ES) - HE Piotr Przewroski (PL): Multimedia services
  • New entrepreneur : Liga Stige (LV) - HE George Skafidas (EL): Customs brokerage service

For Most Successful Post Relationship Cooperation

  • New entrepreneur : Sebastian Aubert (FR) - HE Thierry Baujard (DE): Film production and financing of films
  • New entrepreneur : Dimitris Matsakis (EL) - HE Piere Engel (FR): Consulting and capacity building in space technologies
  • New entrepreneur : Sylvain Lemoine (FR) - HE Carl Georg Rasmussen (DK): Sustainable transportation

For Best Business Concept

  • New entrepreneur : Marius Dan Croitoru (RO): Online platform for students and young professionals
  • New entrepreneur : Esther Pascual Fernandez (ES): Reuse of cattle slurry to manufacture plant containers
  • New entrepreneur: Marco Migliorisi (IT): Eco-friendly fashion

For Best Host Entrepreneur:

  • Joseph A. Buglea (MT): Travel and tourism
  • Gianluca Massimiliano Frongia (IT): Promotion of personal and professional development of young people in order for them to become active citizens
  • Seppo Huurinainen (FI): Supplier of bio energy ERP (Enterprise Resource Planning) systems

For Best Performing Intermediary Organisation:

  • Unioncamere del Veneto - Eurosportello Veneto (IT)

About the Erasmus for Young Entrepreneurs Programme

Since 2009 an entrepreneur intending to start a company or having just done so can get first-hand coaching from an experienced entrepreneur from another country, by working alongside him for one to six months. The “Erasmus for Young Entrepreneurs” scheme facilitates networking between entrepreneurs by building upon cross-border knowledge and experience within the EU.

Statistics show that 93% of new entrepreneurs and 86% of host entrepreneurs who have participated in the Programme report that the exchange contributes to the development of their business. 84% of host entrepreneurs would be happy to host another new entrepreneur. Many exchanges result in long-term cooperation between the two entrepreneurs, as well as in the internationalisation of their businesses. Also, the programme does not only contribute to the creation of new businesses, but makes them more robust and sustainable.

Here the text breaks off for molecular data:
/*
{
  "formula": "C48H130N8O21",
  "method": "ωB97M-V with the def2-TZVPD basis set",
  "symbols": ["H", "C", "H", "H", "N", "H", "H", "H", "H", "H", "H", "H", "H", "H", "H", "H", "H", "C", "C", "C", "H", "C", "O", "H", "H", "H", "C", "H", "H", "H", "H", "H", "C", "H", "H", "H", "O", "H", "O", "H", "C", "H", "H", "H", "H", "H", "H", "H", "C", "H", "C", "H", "C", "H", "C", "H", "H", "C", "H", "C", "H", "H", "H", "C", "H", "H", "H", "O", "H", "H", "H", "H", "O", "H", "H", "H", "H", "H", "H", "H", "H", "H", "O", "H", "H", "C", "C", "H", "C", "H", "H", "O", "O", "H", "H", "H", "H", "O", "C", "C", "H", "N", "H", "H", "H", "H", "N", "C", "N", "H", "H", "H", "C", "C", "H", "H", "H", "H", "C", "O", "H", "H", "H", "O", "H", "H", "H", "C", "H", "H", "C", "H", "H", "H", "O", "C", "O", "O", "C", "O", "C", "C", "H", "N", "N", "C", "H", "N", "H", "O", "H", "H", "H", "H", "H", "C", "C", "C", "H", "H", "H", "H", "C", "C", "C", "H", "C", "H", "C", "H", "H", "N", "H", "H", "C", "H", "O", "H", "C", "C", "C", "H", "H", "O", "H", "C", "O", "H", "H", "H", "H", "H", "O", "C", "O", "H", "H", "C", "H", "C", "C", "H", "H", "H", "H", "H", "H"],
*/

The Programme was launched by the European Commission as a pilot project. As it achieved positive results, the Commission has since included it in the Competitiveness and Innovation Programme (CIP) and it is envisaged to continue under the umbrella of the Programme for the Competitiveness of Enterprises and SMEs (COSME).

European SME Week 2012 - More women entrepreneurs to create growth and jobs

The European SME Week 2012 is designed to promote and support women entrepreneurs. The week aims to:

  • provide information on what the EU and national, regional and local authorities are offering as support to micro, small and medium-sized businesses;
  • promote entrepreneurship so that more people, and in particular younger ones, seriously consider becoming an entrepreneur as a career option;
  • give recognition to entrepreneurs for their contribution to Europe's welfare, jobs, innovation and competitiveness.

The European SME Week 2012 Summit will take place in Brussels on 17 October. The theme of the conference will be "Women's Entrepreneurship".

More information on SME week


Contacts :

Carlo Corazza (+32 2 295 17 52)

Sara Tironi (+32 2 299 04 03)